# To do
Transcribe everything below exactly.

# Excerpt
<<<
# 1
Starting from a DFT-relaxed cell (GGA-PBE, Alexandria), the powder diffraction line list of ZrPb was computed for Cu Ka.
Kinematic intensities with the Lorentz-polarization factor, no thermal factor.

Cell and atoms:
a = 5.973 Å, b = 6.322 Å, c = 10.598 Å
α = 90.00°, β = 90.00°, γ = 90.00°
Atoms (fractional coordinates):
Zr 0.164 0.025 0.165
Zr 0.164 0.475 0.665
Zr 0.336 0.525 0.165
Zr 0.336 0.975 0.665
Zr 0.664 0.025 0.335
Zr 0.664 0.475 0.835
Zr 0.836 0.525 0.335
Zr 0.836 0.975 0.835
Pb 0.177 0.198 0.420
Pb 0.177 0.302 0.920
Pb 0.323 0.698 0.420
Pb 0.323 0.802 0.920
Pb 0.677 0.198 0.080
Pb 0.677 0.302 0.580
Pb 0.823 0.698 0.080
Pb 0.823 0.802 0.580

Top 8 peaks for 2θ = 10–90°, low angle first:
d = 3.964 Å, 2θ 22.4, I = 32; d = 2.986 Å, 2θ 29.9, I = 33; d = 2.715 Å, 2θ 33.0, I = 30; d = 2.701 Å, 2θ 33.2, I = 76; d = 2.617 Å, 2θ 34.3, I = 30; d = 2.471 Å, 2θ 36.4, I = 100; d = 2.422 Å, 2θ 37.1, I = 72; d = 1.543 Å, 2θ 60.0, I = 43

# 2
Starting from a DFT-relaxed cell (GGA-PBE, Alexandria), the powder diffraction line list of Fe3AgCl12 was computed for Cu Ka.
Kinematic intensities with the Lorentz-polarization factor, no thermal factor.

Cell and atoms:
a = 11.534 Å, b = 11.534 Å, c = 11.534 Å
α = 61.58°, β = 61.58°, γ = 61.58°
Atoms (fractional coordinates):
Fe 0.043 0.332 0.625
Fe 0.125 0.832 0.543
Fe 0.332 0.625 0.043
Fe 0.543 0.125 0.832
Fe 0.625 0.043 0.332
Fe 0.832 0.543 0.125
Ag 0.217 0.217 0.217
Ag 0.717 0.717 0.717
Cl 0.051 0.158 0.811
Cl 0.068 0.281 0.452
Cl 0.072 0.906 0.704
Cl 0.158 0.811 0.051
Cl 0.165 0.978 0.328
Cl 0.204 0.406 0.572
Cl 0.281 0.452 0.068
Cl 0.311 0.658 0.551
Cl 0.328 0.165 0.978
Cl 0.406 0.572 0.204
Cl 0.452 0.068 0.281
Cl 0.478 0.665 0.828
Cl 0.551 0.311 0.658
Cl 0.568 0.952 0.781
Cl 0.572 0.204 0.406
Cl 0.658 0.551 0.311
Cl 0.665 0.828 0.478
Cl 0.704 0.072 0.906
Cl 0.781 0.568 0.952
Cl 0.811 0.051 0.158
Cl 0.828 0.478 0.665
Cl 0.906 0.704 0.072
Cl 0.952 0.781 0.568
Cl 0.978 0.328 0.165

Top 8 peaks for 2θ = 10–90°, low angle first:
d = 8.249 Å, 2θ 10.7, I = 38; d = 5.764 Å, 2θ 15.4, I = 19; d = 4.985 Å, 2θ 17.8, I = 100; d = 4.801 Å, 2θ 18.5, I = 14; d = 4.124 Å, 2θ 21.5, I = 16; d = 3.829 Å, 2θ 23.2, I = 21; d = 3.654 Å, 2θ 24.4, I = 17; d = 2.590 Å, 2θ 34.6, I = 20

# 3
Starting from a DFT-relaxed cell (GGA-PBE, Alexandria), the powder diffraction line list of Dy4Hg5Pd2 was computed for Cu Ka.
Kinematic intensities with the Lorentz-polarization factor, no thermal factor.

Cell and atoms:
a = 7.664 Å, b = 3.585 Å, c = 9.649 Å
α = 90.00°, β = 93.67°, γ = 90.00°
Atoms (fractional coordinates):
Dy 0.180 0.000 0.355
Dy 0.233 0.000 0.936
Dy 0.767 0.000 0.064
Dy 0.820 0.000 0.645
Hg 0.169 0.500 0.642
Hg 0.452 0.500 0.173
Hg 0.500 0.500 0.500
Hg 0.548 0.500 0.827
Hg 0.831 0.500 0.358
Pd 0.071 0.500 0.136
Pd 0.929 0.500 0.864

Top 8 peaks for 2θ = 10–90°, low angle first:
d = 2.894 Å, 2θ 30.9, I = 56; d = 2.726 Å, 2θ 32.9, I = 91; d = 2.658 Å, 2θ 33.7, I = 100; d = 2.615 Å, 2θ 34.3, I = 77; d = 2.549 Å, 2θ 35.2, I = 57; d = 2.496 Å, 2θ 36.0, I = 51; d = 2.341 Å, 2θ 38.5, I = 69; d = 1.465 Å, 2θ 63.5, I = 50

# 4
Starting from a DFT-relaxed cell (GGA-PBE, Alexandria), the powder diffraction line list of U3Si7Ir2 was computed for Cu Ka.
Kinematic intensities with the Lorentz-polarization factor, no thermal factor.

Cell and atoms:
a = 4.117 Å, b = 4.081 Å, c = 12.629 Å
α = 90.00°, β = 98.57°, γ = 90.00°
Atoms (fractional coordinates):
U 0.000 0.000 0.000
U 0.303 0.500 0.630
U 0.697 0.500 0.370
Si 0.163 0.500 0.169
Si 0.231 0.000 0.451
Si 0.430 0.000 0.835
Si 0.500 0.500 0.000
Si 0.570 0.000 0.165
Si 0.769 0.000 0.549
Si 0.837 0.500 0.831
Ir 0.102 0.000 0.261
Ir 0.898 0.000 0.739

Top 8 peaks for 2θ = 10–90°, low angle first:
d = 4.163 Å, 2θ 21.3, I = 47; d = 3.879 Å, 2θ 22.9, I = 51; d = 2.879 Å, 2θ 31.1, I = 100; d = 2.729 Å, 2θ 32.8, I = 38; d = 2.496 Å, 2θ 36.0, I = 44; d = 2.480 Å, 2θ 36.2, I = 97; d = 2.059 Å, 2θ 44.0, I = 39; d = 2.040 Å, 2θ 44.4, I = 41

~~~~~
>>>

# Reply
# 1
Starting from a DFT-relaxed cell (GGA-PBE, Alexandria), the powder diffraction line list of ZrPb was computed for Cu Ka.
Kinematic intensities with the Lorentz-polarization factor, no thermal factor.

Cell and atoms:
a = 5.973 Å, b = 6.322 Å, c = 10.598 Å
α = 90.00°, β = 90.00°, γ = 90.00°
Atoms (fractional coordinates):
Zr 0.164 0.025 0.165
Zr 0.164 0.475 0.665
Zr 0.336 0.525 0.165
Zr 0.336 0.975 0.665
Zr 0.664 0.025 0.335
Zr 0.664 0.475 0.835
Zr 0.836 0.525 0.335
Zr 0.836 0.975 0.835
Pb 0.177 0.198 0.420
Pb 0.177 0.302 0.920
Pb 0.323 0.698 0.420
Pb 0.323 0.802 0.920
Pb 0.677 0.198 0.080
Pb 0.677 0.302 0.580
Pb 0.823 0.698 0.080
Pb 0.823 0.802 0.580

Top 8 peaks for 2θ = 10–90°, low angle first:
d = 3.964 Å, 2θ 22.4, I = 32; d = 2.986 Å, 2θ 29.9, I = 33; d = 2.715 Å, 2θ 33.0, I = 30; d = 2.701 Å, 2θ 33.2, I = 76; d = 2.617 Å, 2θ 34.3, I = 30; d = 2.471 Å, 2θ 36.4, I = 100; d = 2.422 Å, 2θ 37.1, I = 72; d = 1.543 Å, 2θ 60.0, I = 43

# 2
Starting from a DFT-relaxed cell (GGA-PBE, Alexandria), the powder diffraction line list of Fe3AgCl12 was computed for Cu Ka.
Kinematic intensities with the Lorentz-polarization factor, no thermal factor.

Cell and atoms:
a = 11.534 Å, b = 11.534 Å, c = 11.534 Å
α = 61.58°, β = 61.58°, γ = 61.58°
Atoms (fractional coordinates):
Fe 0.043 0.332 0.625
Fe 0.125 0.832 0.543
Fe 0.332 0.625 0.043
Fe 0.543 0.125 0.832
Fe 0.625 0.043 0.332
Fe 0.832 0.543 0.125
Ag 0.217 0.217 0.217
Ag 0.717 0.717 0.717
Cl 0.051 0.158 0.811
Cl 0.068 0.281 0.452
Cl 0.072 0.906 0.704
Cl 0.158 0.811 0.051
Cl 0.165 0.978 0.328
Cl 0.204 0.406 0.572
Cl 0.281 0.452 0.068
Cl 0.311 0.658 0.551
Cl 0.328 0.165 0.978
Cl 0.406 0.572 0.204
Cl 0.452 0.068 0.281
Cl 0.478 0.665 0.828
Cl 0.551 0.311 0.658
Cl 0.568 0.952 0.781
Cl 0.572 0.204 0.406
Cl 0.658 0.551 0.311
Cl 0.665 0.828 0.478
Cl 0.704 0.072 0.906
Cl 0.781 0.568 0.952
Cl 0.811 0.051 0.158
Cl 0.828 0.478 0.665
Cl 0.906 0.704 0.072
Cl 0.952 0.781 0.568
Cl 0.978 0.328 0.165

Top 8 peaks for 2θ = 10–90°, low angle first:
d = 8.249 Å, 2θ 10.7, I = 38; d = 5.764 Å, 2θ 15.4, I = 19; d = 4.985 Å, 2θ 17.8, I = 100; d = 4.801 Å, 2θ 18.5, I = 14; d = 4.124 Å, 2θ 21.5, I = 16; d = 3.829 Å, 2θ 23.2, I = 21; d = 3.654 Å, 2θ 24.4, I = 17; d = 2.590 Å, 2θ 34.6, I = 20

# 3
Starting from a DFT-relaxed cell (GGA-PBE, Alexandria), the powder diffraction line list of Dy4Hg5Pd2 was computed for Cu Ka.
Kinematic intensities with the Lorentz-polarization factor, no thermal factor.

Cell and atoms:
a = 7.664 Å, b = 3.585 Å, c = 9.649 Å
α = 90.00°, β = 93.67°, γ = 90.00°
Atoms (fractional coordinates):
Dy 0.180 0.000 0.355
Dy 0.233 0.000 0.936
Dy 0.767 0.000 0.064
Dy 0.820 0.000 0.645
Hg 0.169 0.500 0.642
Hg 0.452 0.500 0.173
Hg 0.500 0.500 0.500
Hg 0.548 0.500 0.827
Hg 0.831 0.500 0.358
Pd 0.071 0.500 0.136
Pd 0.929 0.500 0.864

Top 8 peaks for 2θ = 10–90°, low angle first:
d = 2.894 Å, 2θ 30.9, I = 56; d = 2.726 Å, 2θ 32.9, I = 91; d = 2.658 Å, 2θ 33.7, I = 100; d = 2.615 Å, 2θ 34.3, I = 77; d = 2.549 Å, 2θ 35.2, I = 57; d = 2.496 Å, 2θ 36.0, I = 51; d = 2.341 Å, 2θ 38.5, I = 69; d = 1.465 Å, 2θ 63.5, I = 50

# 4
Starting from a DFT-relaxed cell (GGA-PBE, Alexandria), the powder diffraction line list of U3Si7Ir2 was computed for Cu Ka.
Kinematic intensities with the Lorentz-polarization factor, no thermal factor.

Cell and atoms:
a = 4.117 Å, b = 4.081 Å, c = 12.629 Å
α = 90.00°, β = 98.57°, γ = 90.00°
Atoms (fractional coordinates):
U 0.000 0.000 0.000
U 0.303 0.500 0.630
U 0.697 0.500 0.370
Si 0.163 0.500 0.169
Si 0.231 0.000 0.451
Si 0.430 0.000 0.835
Si 0.500 0.500 0.000
Si 0.570 0.000 0.165
Si 0.769 0.000 0.549
Si 0.837 0.500 0.831
Ir 0.102 0.000 0.261
Ir 0.898 0.000 0.739

Top 8 peaks for 2θ = 10–90°, low angle first:
d = 4.163 Å, 2θ 21.3, I = 47; d = 3.879 Å, 2θ 22.9, I = 51; d = 2.879 Å, 2θ 31.1, I = 100; d = 2.729 Å, 2θ 32.8, I = 38; d = 2.496 Å, 2θ 36.0, I = 44; d = 2.480 Å, 2θ 36.2, I = 97; d = 2.059 Å, 2θ 44.0, I = 39; d = 2.040 Å, 2θ 44.4, I = 41

~~~~~